Home Pastors Articles for Pastors 24 Signs Your Church Is Healthy

24 Signs Your Church Is Healthy

11. An Emphasis on Numerical Growth

There are some Christians who think numbers should never be looked at. But the reality is a healthy church is growing numerically. This is not the article to debate the mage-church model versus the church-planting model. The point being made here is that a healthy church will be working to reach more and more people. Focusing on the numbers only becomes a sign of an unhealthy church when this focus usurps every other focus.

Notice I said a healthy church is growing numerically. This does not mean that a church growing numerically is always healthy. A church can grow for unhealthy, inflated reasons like advertisements, gimmicks, musical talent, entertainment, and other strategies that do nothing but bring people through the doors. A healthy church grows the right way, which is through its people growing spiritually and reaching out to other people.

Numerical growth is not everything, but a super healthy church will be growing numerically. If your pastor makes you feel guilty for not inviting people to hear his amazing sermons, that’s unhealthy. But if your pastor never challenges you to invite your unbelieving friends to church, that’s an unhealthy sign too. There’s not a rigid formula here. But you’ll feel it if your church is too focused on numerical growth.

(Acts 2:47)

12. An Emphasis on Spiritual Growth

A healthy church knows that numerical growth will directly correspond to its existing members’ spiritual growth. If the current attenders of the church are totally apathetic towards inviting their friends to church, it’s probably because they don’t see the value their church is offering. But when someone feels like their church is really investing into their spiritual growth, they are going to be motivated to invite others to experience the same.

A healthy church doesn’t just want to take pictures of a full sanctuary on Sunday morning to post on social media. A healthy church wants to know its members are growing in their relationship with Jesus Christ, and one sign of spiritual growth will be numerical growth. These two are definitely connected for super healthy churches.

(Matthew 28:19-20)

13. A Thoughtful Approach to the Use of Modern Tools, Techniques, and Technology

- - -
(1)
# C3HN2O4S

2 unconnected molecules or ions with the total composition C3HN2O4S at a distorted geometry (ωB97M-V/def2-TZVPD, OMol25).

The molecular weight comes out at 161.12 g mol⁻¹. The calculation puts the LUMO energy at 3.09 eV. The energy above the lowest of the compared OMol25 structures with the same formula, charge and spin is 7.5 kcal/mol. As for the HOMO-LUMO gap: 7.2 eV. As for the calculated total energy: -923.542057 a.u. The HOMO energy comes out at -4.1 eV. Its spin multiplicity is 1. The total charge is -1.

Atoms and positions in Å:
C (-2.339, -0.822, -0.552)
C (2.641, 0.391, -0.262)
C (-1.391, -0.020, 0.061)
N (-3.086, -1.590, -0.988)
N (-0.081, -0.392, 0.142)
O (0.297, -1.537, -0.148)
O (2.214, 0.236, -1.327)
O (0.755, 0.466, 0.613)
O (-1.749, 1.275, 0.510)
S (3.670, 0.525, 0.985)
H (-0.932, 1.469, 0.967)



(2)
# C22H15BrN8O2S

C22H15BrN8O2S in the gas phase at a distorted geometry (ωB97M-V/def2-TZVPD, OMol25).

The molecular weight comes out at 535.39 g mol⁻¹. The calculation puts the LUMO energy at -1.10 eV. The energy above the lowest of the compared OMol25 structures with the same formula, charge and spin is 0.0 kcal/mol. As for the HOMO-LUMO gap: 7.1 eV. As for the calculated total energy: -4408.025745 a.u. Its SMILES is N#CC1=C(N)N=C2c3c(-c4ccc(Br)cc4)cn(-c4ccc(S(N)(=O)=O)cc4)c3N=CN2N=C1. The HOMO energy comes out at -8.2 eV. Its spin multiplicity is 1.

Atoms and positions in Å:
N (-4.685, 3.149, 5.851)
C (-4.107, 2.986, 4.854)
C (-3.285, 2.710, 3.709)
C (-2.604, 1.512, 3.658)
N (-2.681, 0.675, 4.756)
N (-1.725, 0.997, 2.787)
C (-1.297, 1.535, 1.679)
C (-0.325, 0.737, 0.974)
C (0.296, -0.567, 1.254)
C (-0.037, -1.530, 2.307)
C (0.979, -2.105, 3.084)
C (0.684, -2.979, 4.162)
C (-0.625, -3.406, 4.376)
Br (-0.876, -4.808, 5.648)
C (-1.663, -2.897, 3.565)
C (-1.398, -1.923, 2.559)
C (1.259, -0.737, 0.279)
N (1.245, 0.349, -0.603)
C (2.180, 0.569, -1.604)
C (2.546, 1.850, -2.061)
C (3.495, 2.019, -3.100)
C (4.178, 0.923, -3.623)
S (5.488, 1.127, -4.819)
N (4.780, 2.166, -5.905)
O (5.823, -0.076, -5.621)
O (6.666, 1.856, -4.374)
C (3.872, -0.356, -3.144)
C (2.888, -0.516, -2.147)
C (0.257, 1.253, -0.155)
N (-0.068, 2.503, -0.702)
C (-0.930, 3.200, -0.022)
N (-1.609, 2.795, 1.129)
N (-2.512, 3.736, 1.637)
C (-3.243, 3.775, 2.717)
H (-3.117, 1.097, 5.559)
H (-1.938, 0.011, 4.833)
H (2.028, -1.795, 2.919)
H (1.478, -3.380, 4.785)
H (-2.690, -3.287, 3.669)
H (-2.226, -1.510, 2.006)
H (1.914, -1.593, 0.202)
H (2.131, 2.744, -1.658)
H (3.695, 3.013, -3.508)
H (4.106, 1.620, -6.451)
H (5.556, 2.438, -6.498)
H (4.358, -1.233, -3.556)
H (2.665, -1.529, -1.912)
H (-1.149, 4.178, -0.396)
H (-3.844, 4.637, 2.831)



(3)
# C8H8F3NO2

2 unconnected molecules or ions with the total composition C8H8F3NO2 at a distorted geometry (ωB97M-V/def2-TZVPD, OMol25).
- - -

There’s nothing inherently unhealthy about overhead projectors, flannel graph, paneled walls, or orange carpet. And there’s nothing holy about HD quality projectors, intelligent lighting, and the latest tech. But a healthy church wants to use whatever will aid them in communicating the gospel most clearly to the people they’ve been commissioned to serve. If you live in a culture where technology is a part of the normal way of life, a healthy church will factor that into their strategy.

Some churches will feel it’s best to be simplistic because of the over-saturated technology driven culture in which it finds itself. Other churches will try to speak the language of the people they are trying to reach, which means they will speak the language of tech. A healthy church, however, will be thoughtful and intentional about how they use (or don’t use) every tool available to them.

An unhealthy church wants be cool for coolness sake. Usually they fail miserably and end up looking like a dad overreaching to connect with his teenage children through trying to be hip. An unhealthy church wants to be boring because it fears change. When you step into a church like this, it feels like you got time-warped backwards twenty years. A healthy church embraces what’s helpful, isn’t afraid to change with the times, and uses everything it can to best proclaim the unchanging truth of God’s word.

(Ephesians 5:15-16)

14. A Healthy Church Doesn’t Turn Everything Into a Silly Joke

A super healthy church will be full of people and leaders who don’t take themselves too seriously. But a super healthy church also attacks their mission of reaching the lost and growing God’s people with intensity, focus, and seriousness. A healthy church knows there’s no time to play church games.

On the flip side, if the people at church never take a break to play a game and fellowship, that’s not healthy either. Basketball, volleyball, and even board games have been used as olive branches, bringing in unreached people and connecting Christians through common interests. With that said, a healthy church will use fun for very serious reasons.

If the pastor gets on stage after a reverent song and cracks a silly joke, it probably means he’s uncomfortable with holiness. A healthy church is serious for all the right reasons and knows how to have fun for the right reasons too. An unhealthy church just wants to be silly so it can attract people and be liked. They want to be relevant for relevancy sake, not for redemption purposes.

(Titus 2:7) Is Humor Biblical?

15. Healthy Church Discipline Actually Happens

A healthy church tries to model itself after instructions given to New Testament churches. Throughout the Bible, God has instructed his leaders to lovingly correct and discipline the flock when they start to turn from him. If a church never disciplines anyone, it is a sign that it is afraid of the people, don’t really know what its people are doing, or it just doesn’t understand the role the church should have in a Christian’s life.

If a member of the church is sleeping around, getting drunk, being disrespectful, and never repents when they do blatant sins like these, it is the church’s job to lovingly discipline this person. The church should not be a sin-Nazi, but when a sin is clearly defined as such in the Bible and a member of the church is living in it, a healthy church loves this person by confronting them.

(1 Corinthians 5:1-13) 9 Levels of Church Discipline Supported in Scripture

16. The Church Is Led By a Body of Elders, Not a Captivating Speaker

Americans love us some celebrities. Unfortunately celebrity culture often times makes its way into the church. But a healthy church is not run by an individual. The New Testament is very clear that a church should be led by a group of elders. While it’s not unhealthy for a church to experience growth through the gift of a captivating preacher, when this person is idolized it is only a matter of time before other signs of an unhealthy church will begin to emerge. This pastor will eventually crumble under the pressure, take too many liberties because of his feelings of entitlement, or the church will eventually reject him since all idols are revealed for what they are in due time.

-- begin --
The following is a quantum chemistry calculation of one molecule with the formula C3H4N2O2, from OMol25.

## Properties
SMILES = [H]/N=C/C(=C)[N+](=O)[O-]
net charge = 0
DFT total energy = -376.51454 a.u.
frontier orbital gap = 0.3563 Eh
energy above the lowest of the compared OMol25 structures with the same formula, charge and spin = 6.7825 eV
multiplicity = 1
E_HOMO = -0.3702 Ha

The geometry in XYZ format:
```
11
Properties=species:S:1:pos:R:3:forces:R:3:nbo_charge:R:1
H 2.4002 -1.0370 -1.5470 0.5 -0.2 -1.2 0.36
N 1.8780 -0.4588 -0.9280 1.4 -0.5 0.8 -0.60
C 0.6661 -0.5954 -0.9958 -4.8 3.6 2.6 0.17
C -0.2574 0.2560 0.2364 2.5 -1.9 -3.1 0.01
C -0.5792 1.5204 0.2301 -1.2 -0.6 2.7 -0.35
N -0.7521 -0.7350 1.1627 -0.3 1.4 -1.5 0.51
O -0.4630 -1.8563 0.8406 0.0 -1.7 0.6 -0.37
O -1.4517 -0.3574 2.0546 -0.6 -0.3 1.5 -0.36
H -0.1694 -0.8358 -1.6931 1.4 -1.0 -0.1 0.19
H -1.2299 1.9513 1.0128 0.4 -0.3 -0.6 0.23
H -0.0416 2.1479 -0.3734 0.8 1.6 -1.8 0.22
```
Forces are in eV/Å.


The following is a quantum chemistry calculation of a 2-piece molecular cluster, C2H10OSi2 overall, from OMol25.

## Properties
net charge = 0
DFT total energy = -736.31862 a.u.
frontier orbital gap (spin up / spin down) = 0.2559 / 0.2546 Eh
energy above the lowest of the compared OMol25 structures with the same formula, charge and spin = 2.5098 eV
multiplicity = 1
E_HOMO (spin up / spin down) = -0.2697 / -0.2689 Ha

The geometry in XYZ format:
```
15
Properties=species:S:1:pos:R:3:forces:R:3:nbo_charge:R:1
C -2.5089 1.1622 -0.1374 0.0 0.8 0.2 -0.23
C 2.5879 0.7508 0.0488 -0.1 -0.3 -0.1 -1.10
O -2.4293 -0.1853 -0.4503 -0.1 -0.4 -0.4 -0.90
Si 2.0760 -1.0509 -0.2468 -1.8 0.6 0.4 0.71
Si -1.5507 -1.3696 0.2367 1.9 0.4 -0.6 1.08
H -2.8766 1.3102 0.8833 0.0 0.1 0.0 0.17
H -3.2042 1.6334 -0.8363 0.1 0.0 0.1 0.19
H -1.5308 1.6442 -0.2244 0.0 0.1 0.0 0.17
H 2.2157 1.1201 0.9992 -0.1 0.0 0.1 0.24
H 3.6729 0.8527 0.0578 0.1 -0.1 0.0 0.24
H 2.2076 1.4009 -0.7370 -0.1 0.0 -0.1 0.24
H 2.6561 -1.9268 0.7732 0.1 -0.2 0.2 -0.18
H 2.4838 -1.4790 -1.5855 0.0 -0.2 -0.3 -0.18
H -1.6876 -1.3628 1.6925 -0.1 -0.1 0.4 -0.22
H -2.1119 -2.5001 -0.4739 0.1 -0.7 0.0 -0.20
```
Forces are in eV/Å.


The following is a quantum chemistry calculation of C8H24Cl2CoNOP2 as an isolated structure, from OMol25.

## Properties
net charge = +2
DFT total energy = -3434.36221 a.u.
frontier orbital gap (spin up / spin down) = 0.2632 / 0.2467 Eh
energy above the lowest of the compared OMol25 structures with the same formula, charge and spin = 3.3533 eV
multiplicity = 5
E_HOMO (spin up / spin down) = -0.6012 / -0.6288 Ha

The geometry in XYZ format:
```
39
Properties=species:S:1:pos:R:3:forces:R:3:nbo_charge:R:1
C -2.1691 -2.1945 -1.6930 -1.4 -1.2 -1.1 -0.82
C -1.4951 -1.0321 -1.1413 -1.4 4.4 -0.5 0.63
H -3.1210 -2.0552 -2.2918 1.0 0.7 0.8 0.32
H -2.4203 -2.8878 -0.8883 0.2 0.0 0.2 0.31
H -1.5026 -2.7601 -2.3571 0.3 0.2 0.3 0.32
O -1.5995 0.1863 -1.1119 -0.1 -4.6 -0.2 -0.44
Cl 0.4142 -3.1753 0.0884 -0.3 -1.3 -0.3 -0.30
-- stop --
-- End of the molecular data --

A healthy church is not sustained through the personality and drive of one person. These unhealthy churches grow fast and die even faster.

(Acts 14:23)

17. Communion and Baptism Are Done Regularly

While communion and baptism may seem liturgical, these are clear commands in Scripture that are to be done by healthy churches. In fact, administrating these two biblical sacraments is one of the indicators of what makes a church a church (along with preaching, the fellowship of the saints, and church discipline).

Baptism is God’s way of publicly identifying his people. If a church doesn’t baptize people regularly, it either has limited converts or doesn’t value public declarations for Jesus – both of which are signs of an unhealthy church.

Communion is to be done as a way of regularly remembering the saving, cleansing, and regenerating work of Jesus Christ. When a church forgets about communion, a church will forget about what Christ has accomplished for her through the cross and resurrection. Communion is also a built in time for people to examine themselves before the Lord. A regular time of group confession and repentance of sin as a church is a very healthy sign.

(Matthew 28:19-20)

18. Original Sin and Personal Sin Are Attacked From the Pulpit

When I say “attacked” I don’t mean people are shamed for their sin. A healthy church submits to the word of God, and the Bible says that all have been born with a sinful nature and that all sin on a regular bases. If the church never talks about the biblical solutions to the problems caused by both original sin and ongoing personal sin, it probably means the church is there to motivate you to embrace yourself, to believe in yourself, and to do other things that are unbiblical and rooted in a postmodern society.

If the church never paints a picture of how bad the situation has gotten, they will never be able to proclaim how bright the light of Christ really is. If you don’t understand the problem, you can’t possibly value the solution. And Jesus Christ is always the solution.

(Psalm 51:5) What Does the Bible Say About Believing in Yourself?

19. Financial Transparency and Integrity

A healthy church owns its financial decisions. Whether they pay their pastor above the congregational average or well below the average, a healthy church has no shame when it comes to its use of money. There are valid arguments on both sides when it comes to making public the pastor’s salary. I personally believe a church can be extremely financially transparent without putting a pastor and his family through uncomfortable situations most people never have to deal with.

This topic relates directly to having a group of elders. A healthy church makes financial decisions based upon a group of leaders who include the congregation’s support. An unhealthy church will be run by just one person who does whatever he wants. Every dollar should be accounted for in a healthy church, and members of the church should have a clear understanding of how tithe dollars are spent.

Each church will handle this differently, but if you ask about finances and your church gets mad at you, you are definitely at an unhealthy church. A healthy church delights to give an account for its use of money because it should be an easy checkmark, proving it indeed is a healthy church. If you’re getting the cold shoulder when you ask about money, that’s always an unhealthy sign.

(1 Corinthians 16:1-4) What Does the Bible Say About Paying the Pastor?